Material =
Below is crystalline ZrTcIr at its relaxed geometry, with properties calculated at the GGA-PBE level.

Geometry as POSCAR:
```
ZrTcIr
1.0
5.659 0.000 0.021
0.000 4.185 0.000
-2.937 0.000 8.543
Ir Tc Zr
4 4 4
Direct
0.182 0.000 0.629
0.182 0.500 0.129
0.545 0.000 0.316
0.545 0.500 0.816
0.811 0.000 0.946
0.811 0.500 0.446
0.681 0.000 0.637
0.681 0.500 0.137
0.354 0.000 0.994
0.354 0.500 0.494
0.010 0.000 0.268
0.010 0.500 0.768
```

Results
**Density of states at the Fermi level**: 8.47 states/eV per cell
**Space-group type**: Cm
**Energy above the lowest structure with this stoichiometry**: 149 meV per atom

Below is crystalline Zr2TcIr at its relaxed geometry, with properties calculated at the GGA-PBE level.

Geometry as POSCAR:
```
Zr2TcIr
1.0
2.865 0.000 0.000
0.000 2.865 0.000
0.000 0.000 8.939
Ir Tc Zr
1 1 2
Direct
0.000 0.000 0.529
0.500 0.500 0.717
0.000 0.000 0.975
0.500 0.500 0.280
```

Results
**Density of states at the Fermi level**: 4.34 states/eV per cell
**Space-group type**: P4mm

Below is crystalline ZrTcIr4 at its relaxed geometry, with properties calculated at the GGA-PBE level.

Geometry as POSCAR:
```
ZrTcIr4
1.0
0.000 3.662 3.662
3.662 0.000 3.662
3.662 3.662 0.000
Zr Tc Ir
1 1 4
Direct
0.000 0.000 0.000
0.750 0.750 0.750
0.873 0.376 0.376
0.376 0.376 0.873
0.376 0.873 0.376
0.376 0.376 0.376
```

Results
**Density of states at the Fermi level**: 10.07 states/eV per cell
**Space-group type**: F-43m

Below is crystalline ZrTcIr at its relaxed geometry, with properties calculated at the GGA-PBE level.

Geometry as POSCAR:
```
ZrTcIr
1.0
-0.352 -0.750 -3.714
3.916 -1.655 -0.037
-4.724 -11.235 2.717
Ir Tc Zr
4 4 4
Direct
0.000 0.000 0.636
0.000 0.500 0.136
0.000 0.000 0.298
0.000 0.500 0.798
0.000 0.000 0.953
0.000 0.500 0.453
0.500 0.000 0.802
0.500 0.500 0.302
0.500 0.000 0.146
0.500 0.500 0.646
0.500 0.000 0.456
0.500 0.500 0.956
```

Results
**Density of states at the Fermi level**: 13.38 states/eV per cell
**Space-group type**: Amm2
**Energy above the lowest structure with this stoichiometry**: 156 meV per atom

Below is crystalline Zr4TcIr at its relaxed geometry, with properties calculated at the GGA-PBE level.

Geometry as POSCAR:
```
Zr4TcIr
1.0
-0.921 -3.206 -3.131
-1.779 -2.673 3.261
-5.779 2.628 -0.996
Zr Tc Ir
4 1 1
Direct
0.501 0.997 0.247
0.501 0.998 0.750
0.001 0.498 0.750
0.001 0.497 0.247
0.501 0.497 0.998
0.001 0.997 0.498
```

Results
**Density of states at the Fermi level**: 7.03 states/eV per cell
**Space-group type**: P4/mmm
**Energy above the lowest structure with this stoichiometry**: 0 meV per atom

Below is crystalline Zr2TcIr at its relaxed geometry, with properties calculated at the GGA-PBE level.

Geometry as POSCAR:
```
Zr2TcIr
1.0
0.000 3.293 3.293
3.293 0.000 3.293
3.293 3.293 0.000
Ir Tc Zr
1 1 2
Direct
0.500 0.500 0.500
0.000 0.000 0.000
0.250 0.250 0.250
0.750 0.750 0.750
```

Results
**Density of states at the Fermi level**: 0.94 states/eV per cell
**Space-group type**: Fm-3m

These records have formation energy from the elements values of -1.16; -0.50; -0.62; -1.14; -1.55; -2.77 eV/f.u., in the order they appear.

=====

(1)
! InSn2BiPb PBE optimized geometry; values from VASP
! Formation enthalpy at 0 K (eV per atom): 0.13
! Volume (Å³/f.u.): 155.2
! Symmetry: No. 63
&SYSTEM
  ibrav = 0, nat = 10, ntyp = 4
/
ATOMIC_SPECIES
In 114.82 In.upf
Sn 118.71 Sn.upf
Bi 208.98 Bi.upf
Pb 207.20 Pb.upf
CELL_PARAMETERS angstrom
3.014 -8.482 0.000
3.014 8.482 0.000
0.000 0.000 6.072
ATOMIC_POSITIONS crystal
In 0.150 0.850 0.750
In 0.850 0.150 0.250
Sn 0.248 0.248 0.000
Sn 0.248 0.248 0.500
Sn 0.752 0.752 0.000
Sn 0.752 0.752 0.500
Bi 0.249 0.751 0.250
Bi 0.751 0.249 0.750
Pb 0.344 0.656 0.750
Pb 0.656 0.344 0.250

***

(2)
! SrIn2BiPb PBE optimized geometry; values from VASP
! Formation enthalpy at 0 K (eV per atom): -0.14
! Volume (Å³/f.u.): 178.8
! Symmetry: No. 63
&SYSTEM
  ibrav = 0, nat = 10, ntyp = 4
/
ATOMIC_SPECIES
Sr 87.62 Sr.upf
In 114.82 In.upf
Bi 208.98 Bi.upf

Exercise =
Could you give back the lines earlier on up to the one that holds "(2)", that line included?

Here it is =
Below is crystalline ZrTcIr at its relaxed geometry, with properties calculated at the GGA-PBE level.

Geometry as POSCAR:
```
ZrTcIr
1.0
5.659 0.000 0.021
0.000 4.185 0.000
-2.937 0.000 8.543
Ir Tc Zr
4 4 4
Direct
0.182 0.000 0.629
0.182 0.500 0.129
0.545 0.000 0.316
0.545 0.500 0.816
0.811 0.000 0.946
0.811 0.500 0.446
0.681 0.000 0.637
0.681 0.500 0.137
0.354 0.000 0.994
0.354 0.500 0.494
0.010 0.000 0.268
0.010 0.500 0.768
```

Results
**Density of states at the Fermi level**: 8.47 states/eV per cell
**Space-group type**: Cm
**Energy above the lowest structure with this stoichiometry**: 149 meV per atom

Below is crystalline Zr2TcIr at its relaxed geometry, with properties calculated at the GGA-PBE level.

Geometry as POSCAR:
```
Zr2TcIr
1.0
2.865 0.000 0.000
0.000 2.865 0.000
0.000 0.000 8.939
Ir Tc Zr
1 1 2
Direct
0.000 0.000 0.529
0.500 0.500 0.717
0.000 0.000 0.975
0.500 0.500 0.280
```

Results
**Density of states at the Fermi level**: 4.34 states/eV per cell
**Space-group type**: P4mm

Below is crystalline ZrTcIr4 at its relaxed geometry, with properties calculated at the GGA-PBE level.

Geometry as POSCAR:
```
ZrTcIr4
1.0
0.000 3.662 3.662
3.662 0.000 3.662
3.662 3.662 0.000
Zr Tc Ir
1 1 4
Direct
0.000 0.000 0.000
0.750 0.750 0.750
0.873 0.376 0.376
0.376 0.376 0.873
0.376 0.873 0.376
0.376 0.376 0.376
```

Results
**Density of states at the Fermi level**: 10.07 states/eV per cell
**Space-group type**: F-43m

Below is crystalline ZrTcIr at its relaxed geometry, with properties calculated at the GGA-PBE level.

Geometry as POSCAR:
```
ZrTcIr
1.0
-0.352 -0.750 -3.714
3.916 -1.655 -0.037
-4.724 -11.235 2.717
Ir Tc Zr
4 4 4
Direct
0.000 0.000 0.636
0.000 0.500 0.136
0.000 0.000 0.298
0.000 0.500 0.798
0.000 0.000 0.953
0.000 0.500 0.453
0.500 0.000 0.802
0.500 0.500 0.302
0.500 0.000 0.146
0.500 0.500 0.646
0.500 0.000 0.456
0.500 0.500 0.956
```

Results
**Density of states at the Fermi level**: 13.38 states/eV per cell
**Space-group type**: Amm2
**Energy above the lowest structure with this stoichiometry**: 156 meV per atom

Below is crystalline Zr4TcIr at its relaxed geometry, with properties calculated at the GGA-PBE level.

Geometry as POSCAR:
```
Zr4TcIr
1.0
-0.921 -3.206 -3.131
-1.779 -2.673 3.261
-5.779 2.628 -0.996
Zr Tc Ir
4 1 1
Direct
0.501 0.997 0.247
0.501 0.998 0.750
0.001 0.498 0.750
0.001 0.497 0.247
0.501 0.497 0.998
0.001 0.997 0.498
```

Results
**Density of states at the Fermi level**: 7.03 states/eV per cell
**Space-group type**: P4/mmm
**Energy above the lowest structure with this stoichiometry**: 0 meV per atom

Below is crystalline Zr2TcIr at its relaxed geometry, with properties calculated at the GGA-PBE level.

Geometry as POSCAR:
```
Zr2TcIr
1.0
0.000 3.293 3.293
3.293 0.000 3.293
3.293 3.293 0.000
Ir Tc Zr
1 1 2
Direct
0.500 0.500 0.500
0.000 0.000 0.000
0.250 0.250 0.250
0.750 0.750 0.750
```

Results
**Density of states at the Fermi level**: 0.94 states/eV per cell
**Space-group type**: Fm-3m

These records have formation energy from the elements values of -1.16; -0.50; -0.62; -1.14; -1.55; -2.77 eV/f.u., in the order they appear.

=====

(1)
! InSn2BiPb PBE optimized geometry; values from VASP
! Formation enthalpy at 0 K (eV per atom): 0.13
! Volume (Å³/f.u.): 155.2
! Symmetry: No. 63
&SYSTEM
  ibrav = 0, nat = 10, ntyp = 4
/
ATOMIC_SPECIES
In 114.82 In.upf
Sn 118.71 Sn.upf
Bi 208.98 Bi.upf
Pb 207.20 Pb.upf
CELL_PARAMETERS angstrom
3.014 -8.482 0.000
3.014 8.482 0.000
0.000 0.000 6.072
ATOMIC_POSITIONS crystal
In 0.150 0.850 0.750
In 0.850 0.150 0.250
Sn 0.248 0.248 0.000
Sn 0.248 0.248 0.500
Sn 0.752 0.752 0.000
Sn 0.752 0.752 0.500
Bi 0.249 0.751 0.250
Bi 0.751 0.249 0.750
Pb 0.344 0.656 0.750
Pb 0.656 0.344 0.250

***

(2)